
Monday, 10 February 2020

Cycling and protection of soil carbon


Globally, soils contain more carbon than all terrestrial plants, animals, micro-organisms and carbon dioxide in the atmosphere combined. Therefore small changes in soil carbon stocks can increase or decrease atmospheric carbon dioxide, contributing to global warming.

Some soils, but not all, can gain carbon with a change in land use or management. In some parts of the world, such as New Zealand, holding onto soil carbon through careful land management is equally important. Maintaining (and possibly increasing) soil carbon is one of many production and environmental goals that New Zealand farmers have for carefully managing their land and making changes to their systems.

Here the article breaks off for data records >
........
1.
A plane-wave DFT calculation with SCAN was carried out for a PBEsol-optimized structure of BeAl2Ni.

Results
Energy of formation   -0.25 eV/atom
Electronic total energy   -9.261 eV/atom

a b c (Å): 3.0041 3.0041 5.2980
angles (deg): 90.00 90.00 90.00
Space group P4mm (No. 99)
Inequivalent atoms, fractional coordinates:
Be (0.0000, 0.0000, 0.0000)
Al (0.0000, 0.0000, 0.4522)
Al (0.5000, 0.5000, 0.7594)
Ni (0.5000, 0.5000, 0.2132)


2.
A plane-wave DFT calculation with SCAN was carried out for a PBEsol-optimized structure of AlHSe2.

Results
Offset from the most stable computed form   0 meV per atom
Electronic total energy   -13.451 eV/atom

a b c (Å): 5.3246 6.0787 5.3299
angles (deg): 90.00 90.05 90.00
Space group Pm (No. 6)
Inequivalent atoms, fractional coordinates:
Al (0.0000, 0.2501, 0.0000)
H (0.0268, 0.0000, 0.5243)
H (0.5347, 0.5000, 0.9456)
Se (0.2420, 0.0000, 0.7316)
Se (0.2581, 0.5000, 0.2266)
Se (0.7504, 0.5000, 0.7388)
Se (0.7533, 0.0000, 0.2379)


3.
A plane-wave DFT calculation with SCAN was carried out for a PBEsol-optimized structure of Mg2Au.

Results
Energy of formation   -0.68 eV/atom
Electronic total energy   -27.051 eV/atom

a b c (Å): 7.1636 7.1636 3.9411
angles (deg): 90.00 90.00 120.00
Space group P-62m (No. 189)
Inequivalent atoms, fractional coordinates:
Mg (0.0000, 0.4051, 0.0000)
Mg (0.0000, 0.7433, 0.5000)
Au (0.0000, 0.0000, 0.0000)
Au (0.3333, 0.6667, 0.5000)


4.
A plane-wave DFT calculation with SCAN was carried out for a PBEsol-optimized structure of CoTcAu2.

Results
Energy of formation   0.30 eV/atom
Offset from the most stable computed form   0 meV per atom
Electronic total energy   -47.365 eV/atom

a b c (Å): 6.2055 6.2055 6.2055
angles (deg): 90.00 90.00 90.00
Space group F-43m (No. 216)
Inequivalent atoms, fractional coordinates:
Co (0.0000, 0.0000, 0.0000)
Tc (0.2500, 0.2500, 0.2500)
Au (0.0000, 0.0000, 0.5000)
Au (0.2500, 0.2500, 0.7500)


5.
A plane-wave DFT calculation with SCAN was carried out for a PBEsol-optimized structure of Pb3W2.

Results
Energy of formation   0.94 eV/atom
Electronic total energy   -72.401 eV/atom

a b c (Å): 4.8527 4.8527 5.6822
angles (deg): 90.00 90.00 120.00
Space group P-3m1 (No. 164)
Inequivalent atoms, fractional coordinates:
Pb (0.0000, 0.0000, 0.0000)
Pb (0.3333, 0.6667, 0.4018)
W (0.3333, 0.6667, 0.9182)


6.
A plane-wave DFT calculation with SCAN was carried out for a PBEsol-optimized structure of SiH2Rh2.

Results
Offset from the most stable computed form   0 meV per atom
Electronic total energy   -17.257 eV/atom

a b c (Å): 2.9135 2.9135 10.5349
angles (deg): 90.00 90.00 90.00
Space group I4/mmm (No. 139)
Inequivalent atoms, fractional coordinates:
Si (0.0000, 0.0000, 0.0000)
H (0.0000, 0.5000, 0.2500)
Rh (0.0000, 0.0000, 0.3674)


7.
A plane-wave DFT calculation with SCAN was carried out for a PBEsol-optimized structure of Co2TeRh.

Results
Formation energy without anion corrections   0.91 eV/f.u.
Electronic total energy   -26.181 eV/atom
........

How is carbon cycled?

Plants continuously convert carbon dioxide to organic carbon compounds (like simple sugars) through photosynthesis to capture energy from the sun and create biomass (growth). A large proportion of this captured carbon is rapidly returned to the atmosphere as carbon dioxide by plant respiration.

As plants grow, they store carbon in above-ground biomass and their roots. Growing roots release some of the captured carbon into the soil. Like leaves, roots also die, depositing dead cells below ground, which contributes to organic matter. All this released carbon is a welcome food source (organic matter) for soil microbes which process the organic matter and rapidly respire it back to carbon dioxide. A small proportion of this below-ground carbon can be stabilised as soil organic carbon but will slowly decompose with time and return to the atmosphere.

Further losses of captured carbon occur when above-ground biomass (pasture and crops, etc) is grazed and respired by animals or exported in products such as milk. Whether carbon accumulates in the soil depends on a small difference between photosynthesis and all these different forms of respiration. Slightly more photosynthesis than respiration results in an increase in carbon, either in the plant biomass or in the soil. Alternatively, increased respiration relative to photosynthesis results in carbon losses. Forests can gain a lot of carbon in their biomass, but pastures don’t, due to constant grazing by animals.

Land management matters

When land use is changed or new management practices are deployed, this balance can be upset with changes occurring to either or both carbon inputs and outputs1,2.

VASP calculation (PBE-GGA) on a geometry-optimized Ag2PtN structure.

Cell and atoms, written as extended XYZ:
```
8
Lattice="-4.370 4.370 1.893 4.370 -4.370 1.893 4.370 4.370 -1.893" Properties=species:S:1:pos:R:3 pbc="T T T"
Ag 2.185 1.106 -0.473
Ag 3.264 -2.185 2.366
Ag 2.185 3.264 1.420
Ag 1.106 6.555 0.473
Pt 4.370 0.000 0.947
Pt 0.000 0.000 1.893
N 0.000 0.000 0.000
N 0.000 4.370 0.947
```

Fermi-level density of states = 2.9 states/eV/cell
Size of the total moment = 0.0 Bohr magnetons per cell
Formation energy from raw total energies = 614 meV per atom


VASP calculation (PBE-GGA) on a geometry-optimized AuCCl3 structure.

Cell and atoms, written as extended XYZ:
```
5
Lattice="4.492 0.000 0.000 0.000 4.492 0.000 0.000 0.000 4.492" Properties=species:S:1:pos:R:3 pbc="T T T"
Au 0.000 0.000 0.000
C 2.246 2.246 2.246
Cl 0.000 2.246 2.246
Cl 2.246 0.000 2.246
Cl 2.246 2.246 0.000
```

Fermi-level density of states = 0.1 states/eV/cell
Excess energy over the best structure of this formula in the dataset = 0 kJ/mol of formula units
Size of the total moment = 0.0 Bohr magnetons per cell
Formation energy from raw total energies = 1089 meV per atom

----------

Material: Ac5Au2
Method: DFT, PBE
State: relaxed

Structure (POSCAR):
```
Ac5Au2
1.0
-5.669 -1.008 -4.452
-2.518 -5.864 4.533
-1.846 7.371 6.631
Ac Au
10 4
direct
0.637 0.801 0.436 Ac
0.808 0.572 0.809 Ac
0.424 0.750 0.000 Ac
0.576 0.250 0.000 Ac
0.001 0.072 0.809 Ac
0.363 0.199 0.564 Ac
0.201 0.699 0.564 Ac
0.192 0.428 0.191 Ac
0.999 0.928 0.191 Ac
0.799 0.301 0.436 Ac
0.577 0.922 0.780 Au
0.203 0.422 0.780 Au
0.423 0.078 0.220 Au
0.797 0.578 0.220 Au
```

## Properties
SG: C2/c (15)
Calculated volume (Å³/atom): 38.013
Density of states at the Fermi level (states/eV per cell): 17.777
Energy relative to the elements (eV per atom): -0.4556

----------

Entry 1:
A PBEsol-optimized structure of KSbPCO7. Source: Alexandria via LeMat-Bulk, functional SCAN.

Calculated values
Fermi-level density of states = 0.2094 states/eV per atom
ΔE_f (raw) = -1.834 eV/atom
volume = 319.6 Å³/cell
SG = P2_1, No. 4
total moment = 0.0000 μB per atom

a b c (Å): 5.0652 6.5967 9.8012
angles (deg): 90.00 102.58 90.00
Last column: nearest neighbours and their distance in Å.
Fractional coordinates of all 22 atoms:
K1 0.0625 0.0000 0.1497  6 O 2.77-3.10
K2 0.9375 0.5000 0.8503  6 O 2.77-3.10
Sb1 0.2760 0.9162 0.6516  6 O 2.09-2.30
Sb2 0.7240 0.4162 0.3484  6 O 2.09-2.30
P1 0.3168 0.4137 0.5740  4 O 1.54-1.55
P2 0.6832 0.9137 0.4260  4 O 1.54-1.55
C1 0.4469 0.9102 0.9177  3 O 1.24-1.34
C2 0.5531 0.4102 0.0823  3 O 1.24-1.34
O1 0.1444 0.4109 0.4219  1 P 1.55
O2 0.1861 0.9089 0.8499  1 C 1.34
O3 0.2461 0.5984 0.6574  1 P 1.55
O4 0.2477 0.2325 0.6609  1 P 1.55
O5 0.3831 0.9155 0.4349  1 P 1.54
O6 0.3847 0.4024 0.1683  1 C 1.32
O7 0.4812 0.4190 0.9533  1 C 1.24
O8 0.5188 0.9190 0.0467  1 C 1.24
O9 0.6153 0.9024 0.8317  1 C 1.32
O10 0.6169 0.4155 0.5651  1 P 1.54
O11 0.7523 0.7325 0.3391  1 P 1.55

For example, imported feed can result in a small gain of soil carbon, despite most of the feed being consumed and respired by animals, as there is additional dung, containing carbon, deposited on soil that can become stabilised. Some changes are not intuitive; for example, increased pasture production following irrigation does not increase soil carbon in New Zealand, presumably because much of the extra growth is eaten, then converted to product or respired. Additionally, decomposition of soil carbon also increases as microbes are stimulated by water.

Soil carbon accumulation plateaus when land use and management are at a relatively steady state. The level of accumulation depends on the ability of different soils to ‘protect’ the carbon from microbial degradation.

Measuring changes in soil carbon stocks

Pragmatically, it is possible to measure change in carbon stocks through careful soil sampling, but it is important to remember that small changes would be considered important. A change of 2-3% of total carbon stocks in the top 0.6m would be equivalent to 2.4-3.6 t/ha of carbon in an average New Zealand soil. Consequently, any small sampling errors of variable soils could lead to farmers being misled by apparent gains or losses of soil carbon. It would also be critical to capture changes in the different soils found in any individual farm.

Manaaki Whenua - Landcare Research and the University of Waikato have designed sampling approaches that will allow detection of soil change at national and farm scales2,3. Another active research area is exploring management practices that increase soil carbon in pastures and protect existing stocks. These approaches not only act as a guardian against further contribution to greenhouse gases to the atmosphere but also support a healthy soil.

Between two parts of the article: crystal structures:
'''
Record 1
Cs3CaAs2O8 | Alexandria via LeMat-Bulk | PBE | optimized geometry; ρ = 4.193 Mg/m³; raw formation energy = -1.7448 eV/atom; space-group type = P-3m1, No. 164
1.0
-0.2213 -4.4750 4.3228
5.4985 2.1507 -1.9754
-0.1151 5.8767 6.0778
Ca O As Cs
1 8 2 3
direct
0.0000 0.0000 0.5000
0.6373 0.8187 0.3398
0.1813 0.8187 0.3398
0.1813 0.3627 0.3398
0.8187 0.1813 0.6602
0.6667 0.3333 0.9280
0.8187 0.6373 0.6602
0.3333 0.6667 0.0720
0.3627 0.1813 0.6602
0.6667 0.3333 0.7246
0.3333 0.6667 0.2754
0.0000 0.0000 0.0000
0.6667 0.3333 0.2787
0.3333 0.6667 0.7213

Record 2
GdVSi | Alexandria via LeMat-Bulk | PBE | optimized geometry; ρ = 6.357 Mg/m³; raw formation energy = -0.2292 eV/atom; space-group type = P-6m2, No. 187
1.0
3.8532 0.0000 0.0000
0.0000 4.3006 0.0000
0.0000 -2.1503 3.7244
V Si Gd
1 1 1
direct
0.1668 0.6667 0.3333
0.1665 0.0000 0.0000
0.6667 0.3333 0.6667

| no. | total magnetization (μB/cell) |
| --- | --- |
| 1 | 1.1 |
| 2 | 4.9 |

=====
'''

Soil carbon facts

  • New Zealand pasture soils have relatively high carbon stocks, on average 120 t/ha in the top 0.3m.
  • By comparison an ungrazed pasture sward contains about 1.3t of carbon per hectare and three cows contain about 0.25t of carbon.
  • New Zealand pasture soils are less disturbed than many other parts of the world where there has been extensive cropping, and so have not lost carbon in the past.